Wednesday, February 8, 2023

The Secret Diary of Nathan Jones aged 49 1/2.

The Secret Diary of Nathan Jones, aged 49 1/2.

Friday: Had a game for the B team and decided to pick, with the greatest of respect, all the players I don’t fucking like. Doug Croatia-Car bastard and his mate Massive Ostrich can get in the bin. Centre back who thinks he’s a footballer and won’t smash the ball 70 yards up the pitch every time he gets it. Not impressed. As for his mate on the wing…. I don’t play with wingers, don’t want wingers, why the fuck did we sign him? Saddled with that bastard, not impressed. Put Moussa in as well.  He ran round in circles all game – he might still be concussed after Nick Pope smashed him but it’s hard to tell.  Wingers ffs… don’t like them.

We won the game, played a little bit too much football for my liking. Extra bright halogen floodlights are there for a reason lads. Horseman seems popular with the lads. Must get rid of him ASAP.
Saturday: Brentford away, shitty little ground, reminds me of Kenilworth Road. Good omen. Picked a team with Janny B at the heart of it - radical. Work permit is coming for Tall Paul which is going to be handy. Will use him as an impact sub in the second half to win the game for us and make me look a genius. Work permit also through for the other fucking winger that I didn’t want. 22 million fucking quid and he can’t even play as a wing back. What’s the point of that? Will play Moi on the wing because he covers space well when we haven’t got the ball. His leg is hanging off but never mind. They lost 3-0 lol.  They were shit but Brentford were decent.  All those crosses – lovely.  We had that at Luton.  Talking of which,  James Bree, who I got in from Luton, had a great game at right back apart from all three goals and the two big chances that Ivan Toney missed coming down his side. Statistically he was ok though and statistically he was the best right back in the championship last year and that’s the sixth best league in the world. Janny B was marking space everywhere. Brilliant reading of the game. Lyanco put a hole in the dressing room wall with his head when we got back in. Don’t think he was very happy with being a substitute. Told some home truths at the presser. Sport Republic have saddled me with all these fucking wingers and that Argentinian lad who wants to pass it on the ground. Ralph compromised my vision with a shit squad who want to press and pass the ball.  I don't see myself in this team.  The fans are all fucking wankers who don’t recognise potential greatness when they see it and these Premier League players, well they don’t want to implement my total football plan. With the greatest of respect, I’ve listened to outside forces too much or maybe I haven't and I’ve compromised too much… I know that compromise got me the win Everton and the win against City in the cup but that compromise didn’t work today so we need to go back to the plan we had against Forest - 5 at the back and fucking send it!  I know we lost but there was nothing wrong with the way we played, it was ace and it clearly wasn’t my fault that day as Lyanco trod on the ball.
What the fuck, I mean statistically, I was one of the best in Europe last season on all the metrics that matter like xAggression, which I'm sure I saw on a fancy chart in The Athletic one day. I’ve had to work hard for everything I’ve fucking got because I was brought up in a Welsh mining village. Sunday: Woke up, worked out my win ratio again, if I miss out the Liverpool game and include the cup games against lower league sides and Palace and the B team game but not the Newcastle semi-finals because that was two legs, then it’s 6 out of 11 and according to my maths, that’s a 75% win ratio. That’s not bad is it?  Better than Ralph and better than Mark Hughes my lord.
Some people who know nothing like Ian Wright and Chris Sutton think I should’ve been sacked for slagging off the board, the players and the fans but don’t they realise that statistically I am one of the best in Europe and I’ll tell them that even though they won’t ask. In other news, Rasmus doesn’t want me going to the fans forum on Tuesday night. Can’t believe it, I should be front and centre so that the hundred chosen ones can witness my greatness first hand. Adam Blackmore had a pop on Twitter. Can’t believe it, bloody Ralph apologist. Don’t care because he’s local news and I’m kind of a big deal now.  Talking of local, has that Doswell & Waterlooville 'levels' bloke spoken up again?  I didn't listen last time and if I search twitter for it and find it, I won't listen this time either.
Monday: Woke up to the news that Simon Jordan had a pop on talkSPORT. Don’t care about the bleach blonde Dragons’ Den wannabe but Neil Warnock then had a go and that one hurt a bit I have to say. Neil is a bit of a role model. Hard as fuck, boot it in the floodlights and he’s from up north and they had mines there as well. Took training. Tried to speak to that big Doug Croatia-Car bastard and he ignored me. Asked Massive Ostrich what book he was reading in his Instagram post and recommended that he read a book on Mining in South Wales. Offered to lend him a Tom Jones CD and a Max Boyce LP And he pretended he didn’t speak English. 5 a side was a bit feisty. All the players kept asking me to go on the opposition team to them. I think they just wanted a challenge because they know about my playing career. Statistically it was very good. Didn’t want to show them up so I didn’t join in. Tuesday: Fans forum day. Rasmus wouldn’t let me in so I tied up one of the Halo catering staff and stole his uniform so I could watch. Semmens said I wasn’t there because it was all arranged a long time in advance, but I know the real reason is because he’s frightened I’ll kick off because I’m that hard. Statistically I am xHard. Some twat off of Twitter recognise me so I asked him to step outside and with the greatest of respect, I fucking battered him. Someone told me after was that he was only 14. Bullshit. He was massive so it’s not my fault.

Unrelated to this piece: calculated crystals >
-- begin --
First-principles (PBE) data for an optimized crystal structure of BIrAu, as listed in Alexandria.

Cell lengths 2.859, 2.874, 5.072 Å; angles 106.36, 89.97, 90.00 degrees
Sites, in units of the cell vectors:
Ir  0.544  0.861  0.681
B  0.044  0.442  0.845
Au  0.044  0.127  0.221

As for the space-group type: Pm. Its calculated density is 16.61 g/cm³. The calculation puts the formation energy from the elements at 0.058 eV/atom.



First-principles (PBE) data for an optimized crystal structure of Ce3Al6Pt5, as listed in Alexandria.

Cell lengths 4.294, 9.451, 12.902 Å; angles 90.00, 90.00, 90.00 degrees
Sites, in units of the cell vectors:
Al  0.500  0.961  0.000
Al  0.500  0.019  0.347
Al  0.500  0.579  0.000
Al  0.000  0.981  0.847
Al  0.500  0.414  0.820
Al  0.000  0.039  0.500
Al  0.500  0.414  0.180
Al  0.000  0.586  0.680
Al  0.500  0.019  0.653
Al  0.000  0.421  0.500
Al  0.000  0.586  0.320
Al  0.000  0.981  0.153
Ce  0.000  0.246  0.301
Ce  0.500  0.754  0.801
Ce  0.000  0.257  0.000
Ce  0.500  0.754  0.199
Ce  0.000  0.246  0.699
Ce  0.500  0.743  0.500
Pt  0.500  0.133  0.844
Pt  0.000  0.867  0.656
Pt  0.000  0.538  0.883
Pt  0.000  0.800  0.000
Pt  0.500  0.462  0.383
Pt  0.000  0.538  0.117
Pt  0.000  0.867  0.344
Pt  0.500  0.133  0.156
Pt  0.500  0.462  0.617
Pt  0.500  0.200  0.500

As for the space-group type: Pmmn. Its calculated density is 9.88 g/cm³. The calculation puts the formation energy from the elements at -1.036 eV/atom.



First-principles (PBE) data for an optimized crystal structure of Fe3Co5, as listed in Alexandria.

Cell lengths 4.924, 4.924, 4.904 Å; angles 109.34, 109.34, 109.89 degrees
Sites, in units of the cell vectors:
Co  0.500  0.000  0.000
Co  0.000  0.000  0.500
Co  0.000  0.000  0.000
Co  0.000  0.500  0.000
Co  0.500  0.500  0.000
Fe  0.500  0.000  0.500
Fe  0.500  0.500  0.500
Fe  0.000  0.500  0.500

As for the space-group type: Fmmm. Its calculated density is 8.40 g/cm³. The calculation puts the formation energy from the elements at 0.009 eV/atom.



First-principles (PBE) data for an optimized crystal structure of NaAlSb, as listed in Alexandria.

Cell lengths 4.258, 8.472, 5.659 Å; angles 116.04, 112.10, 90.00 degrees
Sites, in units of the cell vectors:
Na  0.438  0.145  0.875
Na  0.562  0.855  0.125
Al  0.860  0.456  0.721
Al  0.140  0.544  0.279
Sb  0.802  0.748  0.604
Sb  0.198  0.252  0.396

As for the space-group type: C2/m. The value obtained for the uncorrected formation energy is -0.232 eV per atom. Its calculated density is 3.42 g/cm³.



First-principles (PBE) data for an optimized crystal structure of SmSc5As4, as listed in Alexandria.

Cell lengths 6.383, 8.508, 9.431 Å; angles 90.00, 90.00, 90.00 degrees
Sites, in units of the cell vectors:
Sc  0.255  0.754  0.789
Sc  0.255  0.246  0.211
Sc  0.255  0.246  0.789
Sc  0.239  0.000  0.500
Sc  0.745  0.254  0.711
Sc  0.761  0.500  0.000
Sc  0.745  0.254  0.289
Sc  0.255  0.754  0.211
Sc  0.745  0.746  0.711
Sc  0.745  0.746  0.289
-- stop --

Fan questions were all about me.  They all know.  Rasmus got embarrassed in the end and clearly wanted to move on and talk about the Women’s Team and the catering.  It’s not fair that it was all about me, even though, with the greatest of respect, I’m the best thing here, statistically.


Some twat blogger stole my diary.  No worries, no one will read it.


  1. That has genuinely made my day that has! Bloody genius good sir

  2. Wonderful reading Glen, so lucky you found his diary... I didn't realise how statistically good he truly is.

  3. Please update this daily until he goes 😂

  4. Superb. Made me laugh even more than the match reports

  5. Brilliant. Absolutely nailed it, Glen. Much as all Saints fans are despairing right now, one of the defining English traits (I'm an exiled Pom) is our sense of humour. Keep up the great work mate.

  6. Please follow this up with The Growing Pains of Nathan Jones! Excellent work sir!

  7. Made me willing to get up at 4am on Sunday again to watch us lose. Hopefully he’s sacked on the sideline.

  8. Brilliant. Just brilliant.

  9. More, please. With respect.

  10. With all respect…Superb!

Data records, as found in the file:
This record from Alexandria describes a relaxed structure of ErTmO2. The functional is GGA-PBE.

abc: 3.564 3.564 6.713
angles: 74.60 74.60 60.00
Sites, in units of the cell vectors:
O1 0.887 0.887 0.338
Tm1 0.000 0.000 0.000
Er1 0.500 0.500 0.500
O2 0.113 0.113 0.662

This record from Alexandria describes a relaxed structure of Er2TmO. The functional is GGA-PBE.

Computed properties:
- energy above the lowest structure with this stoichiometry (eV per atom) = 0.5266

abc: 3.166 3.166 8.526
angles: 90.00 90.00 90.00
Sites, in units of the cell vectors:
Er1 0.000 0.000 0.821
O1 0.500 0.500 0.000
Er2 0.000 0.000 0.179
Tm1 0.500 0.500 0.500

This record from Alexandria describes a relaxed structure of Er2TmO4. The functional is GGA-PBE.

abc: 3.343 5.806 9.839
angles: 90.00 90.00 90.00
Sites, in units of the cell vectors:
O1 0.500 0.746 0.037
Tm1 0.000 0.500 0.000
Er1 0.500 0.059 0.167
Er2 0.500 0.559 0.333
Er3 0.500 0.941 0.833
O2 0.500 0.254 0.963
O3 0.000 0.350 0.211
Er4 0.500 0.441 0.667
O4 0.000 0.850 0.289
O5 0.000 0.150 0.711
O6 0.500 0.754 0.537
O7 0.000 0.650 0.789
Tm2 0.000 0.000 0.500
O8 0.500 0.246 0.463

This record from Alexandria describes a relaxed structure of ErTmO3. The functional is GGA-PBE.

abc: 3.006 5.876 5.876
angles: 60.01 90.00 90.00
Sites, in units of the cell vectors:
O1 0.720 0.267 0.727
Er1 0.220 0.099 0.062
O2 0.720 0.267 0.230
Tm1 0.220 0.433 0.396
O3 0.720 0.765 0.229

This record from Alexandria describes a relaxed structure of Er2TmO. The functional is GGA-PBE.

Computed properties:
- energy above the lowest structure with this stoichiometry (eV per atom) = 0.0000

abc: 3.482 3.482 8.768
angles: 78.55 78.55 60.00
Sites, in units of the cell vectors:
Tm1 0.500 0.500 0.500
Er1 0.280 0.280 0.159
Er2 0.720 0.720 0.841
O1 0.000 0.000 0.000

This record from Alexandria describes a relaxed structure of ErTm2O4. The functional is GGA-PBE.

abc: 5.195 5.195 5.223
angles: 90.00 90.00 90.00
Sites, in units of the cell vectors:
Tm1 0.500 0.000 0.500
O1 0.216 0.784 0.714
Tm2 0.000 0.500 0.500
O2 0.784 0.784 0.286
Er1 0.000 0.000 0.000
O3 0.784 0.216 0.714
O4 0.216 0.216 0.286

This record from Alexandria describes a relaxed structure of ErTmO4. The functional is GGA-PBE.

abc: 3.662 3.858 6.124
angles: 95.20 90.00 118.33
Sites, in units of the cell vectors:
O1 0.845 0.690 0.697
O2 0.397 0.793 0.106
Tm1 0.431 0.863 0.478
Er1 0.069 0.137 0.022
O3 0.655 0.310 0.800
O4 0.104 0.207 0.397

This record from Alexandria describes a relaxed structure of ErTm2UO8. The functional is GGA-PBE.

abc: 3.825 5.250 7.466
angles: 90.00 90.00 90.02
Sites, in units of the cell vectors:
O1 0.000 0.756 0.231
O2 0.500 0.748 0.500
O3 0.500 0.764 0.000
Er1 0.000 0.000 0.500
Tm1 0.500 0.500 0.748
O4 0.000 0.244 0.231
O5 0.500 0.252 0.500

  11. Absolutely glorious 😂👏🏻👏🏻👏🏻

  12. Can we email this to the players could be there team talk before Saturdays game!! Quality written!!

  13. It would be funny if it wasn’t true 😊

  14. That’s fucking hilarious 😂

The entry is interrupted by materials data:
~~~
[1]
The following is a GGA-PBE calculation of a relaxed structure of Nd4NiCCl2, from the Alexandria database.

```
Nd4NiCCl2
1.0
7.0783 0.0000 0.0000
0.0000 3.8147 0.0000
-2.2696 0.0000 7.1274
Nd Ni C Cl
4 1 1 2
Direct
0.2099 0.0000 0.1997
0.2575 0.5000 0.8007
0.7425 0.5000 0.1993
0.7901 0.0000 0.8003
0.5000 0.0000 0.0000
0.0000 0.5000 0.0000
0.0000 0.0000 0.5000
0.5000 0.5000 0.5000
```

As for the space-group type: P2/m (10). The volume comes out at 24.06 A^3/atom. Its uncorrected energy is -5.61 eV per atom. As for the density: 6.200 g/cm3.


[2]
The following is a GGA-PBE calculation of a relaxed structure of La2Ni2Te, from the Alexandria database.

```
La2Ni2Te
1.0
-1.9257 1.9257 8.1917
1.9257 -1.9257 8.1917
1.9257 1.9257 -8.1917
La Ni Te
2 2 1
Direct
0.1250 0.1250 0.0000
0.8750 0.8750 0.0000
0.2500 0.7500 0.5000
0.7500 0.2500 0.5000
0.5000 0.5000 0.0000
```

As for the space-group type: I4/mmm (139). The volume comes out at 24.30 A^3/atom. Its uncorrected energy is -5.53 eV per atom. As for the density: 7.145 g/cm3. The calculation puts the distance to the lowest polymorph of the same formula at 89 meV per atom.


no.,formation energy (no corrections) (meV per atom)
1,-892
2,-618

~~~~~

Entry 1:
An optimized crystal structure of Ba5Al3, computed with GGA-PBEsol.

Values from the calculation:
The calculated density is 4.3 g/cm3. The space group is Cmmm (65). For the final energy, the calculation gives -2.8452 eV per atom.

a = 8.7024 Å, b = 11.7578 Å, c = 5.8315 Å
α = 90.00°, β = 90.00°, γ = 90.00°
Element x y z (fractional)
Ba: 0.0000 0.0000 0.0000
Ba: 0.2086 0.5000 0.5000
Ba: 0.2500 0.2500 0.0000
Ba: 0.2500 0.7500 0.0000
Ba: 0.2914 0.0000 0.5000
Ba: 0.5000 0.5000 0.0000
Ba: 0.7086 0.0000 0.5000
Ba: 0.7500 0.2500 0.0000
Ba: 0.7500 0.7500 0.0000
Ba: 0.7914 0.5000 0.5000
Al: 0.0000 0.2241 0.5000
Al: 0.0000 0.5000 0.0000
Al: 0.0000 0.7759 0.5000
Al: 0.5000 0.0000 0.0000
Al: 0.5000 0.2759 0.5000
Al: 0.5000 0.7241 0.5000


Entry 2:
An optimized crystal structure of BaBe2Al, computed with GGA-PBEsol.

Values from the calculation:
The calculated density is 3.6 g/cm3. The space group is R-3m (166). For the final energy, the calculation gives -3.4486 eV per atom.

a = 4.0408 Å, b = 4.0408 Å, c = 17.6041 Å
α = 90.00°, β = 90.00°, γ = 120.00°
Element x y z (fractional)
Ba: 0.0000 0.0000 0.0000
Ba: 0.3333 0.6667 0.6667
Ba: 0.6667 0.3333 0.3333
Be: 0.0000 0.0000 0.1811
Be: 0.0000 0.0000 0.8189
Be: 0.3333 0.6667 0.4855
Be: 0.3333 0.6667 0.8478
Be: 0.6667 0.3333 0.1522
Be: 0.6667 0.3333 0.5145
Al: 0.0000 0.0000 0.5000
Al: 0.3333 0.6667 0.1667
Al: 0.6667 0.3333 0.8333


Entry 3:
An optimized crystal structure of BaBeAl2, computed with GGA-PBEsol.

Values from the calculation:
The calculated density is 3.8 g/cm3. The space group is Immm (71). For the final energy, the calculation gives -3.2083 eV per atom.

a = 3.0369 Å, b = 5.5706 Å, c = 10.2501 Å
α = 90.00°, β = 90.00°, γ = 90.00°
Element x y z (fractional)
Ba: 0.0000 0.0000 0.0000
~~~

  15. Inspired! Great read Glen. Keep it going as I expect he will be supplying plenty of material and to be honest we need something to smile about.

  16. I find it hard to believe Mr jones made no mention of VAR in his diary

  17. Brilliant. What a way to warm up my day here in Canada. Love to read the next one! (Thanks for the memories too)

  18. With the greatest of respect, not enough potency….

    Seriously, really good read/laugh, cheered me up after being ill all week

  19. Brilliant brought a smile to my face something needed in these troubled times

  20. Laugh out loud stuff. Brilliant! Like someone else mentioned, please do regular updates - it'll take the edge off our impending slide into relegation! Could be a TV series!

  21. Nice one Glen. You are appreciated.


  23. Great read Glen, funnier than the match reports
